## Wanted
The reader should quote the whole of the material underneath with every line break kept.

## File
<<<
Entry 1:
DySc2Zn2Sn2: simulated X-ray diffraction stick pattern (a wavelength of 1.5418 Å), based on a DFT-relaxed cell (PBE, Alexandria).
Intensities are scaled so that the largest is 100.

Main lines, by angle (10° ≤ 2θ ≤ 80°):
two_theta  intensity
26.25  68.8
33.48  88.7
36.34  24.8
38.55  100.0
45.82  19.8
47.24  14.9
51.97  25.0
62.55  13.4
66.54  23.4
69.75  17.1

Structural model:
```
DySc2Zn2Sn2
1.0
2.3352 1.3482 8.3283
-2.3352 1.3482 8.3283
0.0000 -2.6964 8.3283
Dy Sc Zn Sn
1 2 2 2
direct
0.0000 0.0000 0.0000
0.1353 0.1353 0.1353
0.8647 0.8647 0.8647
0.4425 0.4425 0.4425
0.5575 0.5575 0.5575
0.2630 0.2630 0.2630
0.7370 0.7370 0.7370
```



Entry 2:
Hf5FeTe3: simulated X-ray diffraction stick pattern (a wavelength of 1.5418 Å), based on a DFT-relaxed cell (PBE, Alexandria).
Intensities are scaled so that the largest is 100.

Main lines, by angle (10° ≤ 2θ ≤ 80°):
two_theta  intensity
31.48  32.1
31.90  63.7
32.07  100.0
34.95  72.0
36.03  26.3
36.63  94.4
37.39  51.3
38.65  47.1
42.03  26.6
49.46  40.3

Structural model:
```
Hf5FeTe3
1.0
18.0366 0.0000 0.0000
0.0000 3.6855 0.0000
0.0000 0.0000 13.3796
Hf Fe Te
20 4 12
direct
0.0433 0.2500 0.0693
0.0887 0.2500 0.8495
0.1234 0.7500 0.2234
0.2106 0.2500 0.0578
0.2426 0.7500 0.8574
0.2574 0.2500 0.3574
0.2894 0.7500 0.5578
0.3766 0.2500 0.7234
0.4113 0.7500 0.3495
0.4567 0.7500 0.5693
0.5433 0.2500 0.4307
0.5887 0.2500 0.6505
0.6234 0.7500 0.2766
0.7106 0.2500 0.4422
0.7426 0.7500 0.6426
0.7574 0.2500 0.1426
0.7894 0.7500 0.9422
0.8766 0.2500 0.7766
0.9113 0.7500 0.1505
0.9567 0.7500 0.9307
0.1298 0.7500 0.9767
0.3702 0.2500 0.4767
0.6298 0.7500 0.5233
0.8702 0.2500 0.0233
0.0004 0.2500 0.2853
0.9996 0.7500 0.7147
0.1486 0.7500 0.4407
0.2054 0.2500 0.6919
0.2946 0.7500 0.1919
0.3514 0.2500 0.9407
0.5004 0.2500 0.2147
0.4996 0.7500 0.7853
0.6486 0.7500 0.0593
0.7054 0.2500 0.8081
0.7946 0.7500 0.3081
0.8514 0.2500 0.5593
```

* * * * *

1.
This entry pairs a crystal structure of SrPb2Au9 with its theoretical X-ray diffraction stick pattern. Radiation: a wavelength of 1.5418 Å. Structure: a DFT-relaxed cell (GGA-PBE, Alexandria).
Kinematic intensities with the Lorentz-polarization factor, no thermal factor.

Crystal structure
Unit cell a=5.792 b=5.792 c=18.270 alpha=90.00 beta=90.00 gamma=120.00
Sites, in units of the cell vectors:
Sr 0.333 0.667 0.250
Sr 0.667 0.333 0.750
Pb 0.333 0.667 0.034
Pb 0.333 0.667 0.466
Pb 0.667 0.333 0.534
Pb 0.667 0.333 0.966
Au 0.000 0.000 0.000
Au 0.000 0.000 0.250
Au 0.000 0.000 0.500
Au 0.000 0.000 0.750
Au 0.168 0.337 0.624
Au 0.168 0.337 0.876
Au 0.168 0.832 0.624
Au 0.168 0.832 0.876
Au 0.333 0.667 0.750
Au 0.337 0.168 0.124
Au 0.337 0.168 0.376
Au 0.663 0.832 0.624
Au 0.663 0.832 0.876
Au 0.667 0.333 0.250
Au 0.832 0.168 0.124
Au 0.832 0.168 0.376
Au 0.832 0.663 0.124
Au 0.832 0.663 0.376

Largest 12 diffraction maxima, in order of rising 2θ, 10 to 80 degrees two-theta:
two_theta  I (rel.)
18.34  21
30.26  19
30.88  21
36.15  28
36.75  100
38.85  77
39.46  25
41.06  21
58.81  26
64.34  29
77.78  14
78.16  21

=====

2.
This entry pairs a crystal structure of SrPbAu5 with its theoretical X-ray diffraction stick pattern. Radiation: a wavelength of 1.5418 Å. Structure: a DFT-relaxed cell (GGA-PBE, Alexandria).
Kinematic intensities with the Lorentz-polarization factor, no thermal factor.

Crystal structure
Unit cell a=9.478 b=5.791 c=11.587 alpha=90.00 beta=90.00 gamma=90.00
Sites, in units of the cell vectors:
Sr 0.248 0.250 0.057
Sr 0.252 0.750 0.557
Sr 0.748 0.250 0.443
Sr 0.752 0.750 0.943
Pb 0.136 0.750 0.854
Pb 0.364 0.250 0.354
Pb 0.636 0.750 0.646
Pb 0.864 0.250 0.146
Au 0.072 0.750 0.090
Au 0.078 0.004 0.308
Au 0.078 0.496 0.308
Au 0.084 0.250 0.520
Au 0.174 0.250 0.756
Au 0.326 0.750 0.256
Au 0.416 0.750 0.020
Au 0.422 0.504 0.808
Au 0.422 0.996 0.808
Au 0.428 0.250 0.590
Au 0.572 0.750 0.410
Au 0.578 0.004 0.192
Au 0.578 0.496 0.192
Au 0.584 0.250 0.980
Au 0.674 0.250 0.744
Au 0.826 0.750 0.244
Au 0.916 0.750 0.480
>>>

## Outcome
Entry 1:
DySc2Zn2Sn2: simulated X-ray diffraction stick pattern (a wavelength of 1.5418 Å), based on a DFT-relaxed cell (PBE, Alexandria).
Intensities are scaled so that the largest is 100.

Main lines, by angle (10° ≤ 2θ ≤ 80°):
two_theta  intensity
26.25  68.8
33.48  88.7
36.34  24.8
38.55  100.0
45.82  19.8
47.24  14.9
51.97  25.0
62.55  13.4
66.54  23.4
69.75  17.1

Structural model:
```
DySc2Zn2Sn2
1.0
2.3352 1.3482 8.3283
-2.3352 1.3482 8.3283
0.0000 -2.6964 8.3283
Dy Sc Zn Sn
1 2 2 2
direct
0.0000 0.0000 0.0000
0.1353 0.1353 0.1353
0.8647 0.8647 0.8647
0.4425 0.4425 0.4425
0.5575 0.5575 0.5575
0.2630 0.2630 0.2630
0.7370 0.7370 0.7370
```



Entry 2:
Hf5FeTe3: simulated X-ray diffraction stick pattern (a wavelength of 1.5418 Å), based on a DFT-relaxed cell (PBE, Alexandria).
Intensities are scaled so that the largest is 100.

Main lines, by angle (10° ≤ 2θ ≤ 80°):
two_theta  intensity
31.48  32.1
31.90  63.7
32.07  100.0
34.95  72.0
36.03  26.3
36.63  94.4
37.39  51.3
38.65  47.1
42.03  26.6
49.46  40.3

Structural model:
```
Hf5FeTe3
1.0
18.0366 0.0000 0.0000
0.0000 3.6855 0.0000
0.0000 0.0000 13.3796
Hf Fe Te
20 4 12
direct
0.0433 0.2500 0.0693
0.0887 0.2500 0.8495
0.1234 0.7500 0.2234
0.2106 0.2500 0.0578
0.2426 0.7500 0.8574
0.2574 0.2500 0.3574
0.2894 0.7500 0.5578
0.3766 0.2500 0.7234
0.4113 0.7500 0.3495
0.4567 0.7500 0.5693
0.5433 0.2500 0.4307
0.5887 0.2500 0.6505
0.6234 0.7500 0.2766
0.7106 0.2500 0.4422
0.7426 0.7500 0.6426
0.7574 0.2500 0.1426
0.7894 0.7500 0.9422
0.8766 0.2500 0.7766
0.9113 0.7500 0.1505
0.9567 0.7500 0.9307
0.1298 0.7500 0.9767
0.3702 0.2500 0.4767
0.6298 0.7500 0.5233
0.8702 0.2500 0.0233
0.0004 0.2500 0.2853
0.9996 0.7500 0.7147
0.1486 0.7500 0.4407
0.2054 0.2500 0.6919
0.2946 0.7500 0.1919
0.3514 0.2500 0.9407
0.5004 0.2500 0.2147
0.4996 0.7500 0.7853
0.6486 0.7500 0.0593
0.7054 0.2500 0.8081
0.7946 0.7500 0.3081
0.8514 0.2500 0.5593
```

* * * * *

1.
This entry pairs a crystal structure of SrPb2Au9 with its theoretical X-ray diffraction stick pattern. Radiation: a wavelength of 1.5418 Å. Structure: a DFT-relaxed cell (GGA-PBE, Alexandria).
Kinematic intensities with the Lorentz-polarization factor, no thermal factor.

Crystal structure
Unit cell a=5.792 b=5.792 c=18.270 alpha=90.00 beta=90.00 gamma=120.00
Sites, in units of the cell vectors:
Sr 0.333 0.667 0.250
Sr 0.667 0.333 0.750
Pb 0.333 0.667 0.034
Pb 0.333 0.667 0.466
Pb 0.667 0.333 0.534
Pb 0.667 0.333 0.966
Au 0.000 0.000 0.000
Au 0.000 0.000 0.250
Au 0.000 0.000 0.500
Au 0.000 0.000 0.750
Au 0.168 0.337 0.624
Au 0.168 0.337 0.876
Au 0.168 0.832 0.624
Au 0.168 0.832 0.876
Au 0.333 0.667 0.750
Au 0.337 0.168 0.124
Au 0.337 0.168 0.376
Au 0.663 0.832 0.624
Au 0.663 0.832 0.876
Au 0.667 0.333 0.250
Au 0.832 0.168 0.124
Au 0.832 0.168 0.376
Au 0.832 0.663 0.124
Au 0.832 0.663 0.376

Largest 12 diffraction maxima, in order of rising 2θ, 10 to 80 degrees two-theta:
two_theta  I (rel.)
18.34  21
30.26  19
30.88  21
36.15  28
36.75  100
38.85  77
39.46  25
41.06  21
58.81  26
64.34  29
77.78  14
78.16  21

=====

2.
This entry pairs a crystal structure of SrPbAu5 with its theoretical X-ray diffraction stick pattern. Radiation: a wavelength of 1.5418 Å. Structure: a DFT-relaxed cell (GGA-PBE, Alexandria).
Kinematic intensities with the Lorentz-polarization factor, no thermal factor.

Crystal structure
Unit cell a=9.478 b=5.791 c=11.587 alpha=90.00 beta=90.00 gamma=90.00
Sites, in units of the cell vectors:
Sr 0.248 0.250 0.057
Sr 0.252 0.750 0.557
Sr 0.748 0.250 0.443
Sr 0.752 0.750 0.943
Pb 0.136 0.750 0.854
Pb 0.364 0.250 0.354
Pb 0.636 0.750 0.646
Pb 0.864 0.250 0.146
Au 0.072 0.750 0.090
Au 0.078 0.004 0.308
Au 0.078 0.496 0.308
Au 0.084 0.250 0.520
Au 0.174 0.250 0.756
Au 0.326 0.750 0.256
Au 0.416 0.750 0.020
Au 0.422 0.504 0.808
Au 0.422 0.996 0.808
Au 0.428 0.250 0.590
Au 0.572 0.750 0.410
Au 0.578 0.004 0.192
Au 0.578 0.496 0.192
Au 0.584 0.250 0.980
Au 0.674 0.250 0.744
Au 0.826 0.750 0.244
Au 0.916 0.750 0.480